Achaiah Guardian Angel Born April 21 to 25

• Crystal structures that have nothing to do with the article:
DFT (GGA+U) results for crystalline Li4Mn3CoO8 at its relaxed geometry.

abc: 5.9704 5.9704 14.5781
angles: 90.00 90.00 120.00
Space group R-3m (No. 166, hexagonal axes)
Symmetry-distinct sites (fractional):
Li: 0.0000 0.0000 0.0000
Li: 0.0000 0.5000 0.0000
Mn: 0.0000 0.5000 0.5000
Co: 0.0000 0.0000 0.5000
O: 0.0000 0.0000 0.2505
O: 0.0192 0.5096 0.7605

Results
* excess energy over the best structure of this formula in the dataset: 16 meV per atom
* total energy: -6.351 eV/atom
* Fermi-level density of states: 14.62 states/eV per cell


## TaMoCl (PBE-GGA)

Data for crystalline TaMoCl at its relaxed geometry.

Unit cell a=6.256 b=6.256 c=6.256 alpha=151.71 beta=151.71 gamma=40.43
Fractional coordinates of all 3 atoms:
1 Ta 0.679 0.679 0.000
2 Cl 0.004 0.004 0.000
3 Mo 0.317 0.317 0.000

Calculated values
excess energy over the best structure of this formula in the dataset = 0.225 eV per atom
uncorrected energy = -23.32 eV per cell


Record 1
# Cs2CaCoBr6 | Alexandria via LeMat-Bulk | GGA-PBE | optimized geometry
data_Cs2CaCoBr6
_cell_length_a 7.8631
_cell_length_b 7.8631
_cell_length_c 6.7895
_cell_angle_alpha 90.00
_cell_angle_beta 90.00
_cell_angle_gamma 120.00
_symmetry_space_group_name_H-M 'P -3 m 1'
_symmetry_Int_Tables_number 164
_symmetry_space_group_name_Hall '-P 3 2"'
loop_
_atom_site_label
_atom_site_type_symbol
_atom_site_fract_x
_atom_site_fract_y
_atom_site_fract_z
Cs1 Cs 0.3333 0.6667 0.2785
Ca1 Ca 0.0000 0.0000 0.0000
Co1 Co 0.0000 0.0000 0.5000
Br1 Br 0.1587 0.3173 0.7229
# Density   3856 kg/m³
# Uncorrected formation energy   -1.42 eV/atom
# Energy relative to the lowest polymorph listed for this composition   0.0 kJ/mol of formula units


Record 2
# Ce3Al4Ag2 | Alexandria via LeMat-Bulk | GGA-PBE | optimized geometry
data_Ce3Al4Ag2
_cell_length_a 10.721
_cell_length_b 4.772
_cell_length_c 8.905
_cell_angle_alpha 90.00
_cell_angle_beta 120.22
_cell_angle_gamma 90.00
_symmetry_space_group_name_H-M 'C 1 2/m 1'
_symmetry_Int_Tables_number 12
loop_
_symmetry_equiv_pos_as_xyz
'x,y,z'
'-x,-y,-z'
'-x,y,-z'
'x,-y,z'
'x+1/2,y+1/2,z'
'-x+1/2,-y+1/2,-z'
'-x+1/2,y+1/2,-z'
'x+1/2,-y+1/2,z'
loop_
_atom_site_label
_atom_site_type_symbol
_atom_site_fract_x
_atom_site_fract_y
_atom_site_fract_z
Ce1 Ce 0.000 0.000 0.000
Ce2 Ce 0.146 0.500 0.657
Al1 Al 0.056 0.000 0.381
Al2 Al 0.240 0.500 0.070
Ag1 Ag 0.131 0.500 0.287
# ΔH_f (0 K)   -315.6 meV per atom
# Density   6277 kg/m³


First-principles (PBE) data for a relaxed SrEuNi4 crystal, as listed in Alexandria via LeMat-Bulk.

Calculated values
- E_tot: -5.92 eV per atom
- Energy of formation from the pure elements: -0.071 eV per atom

Cell lengths 7.363, 7.363, 7.363 Å; angles 90.00, 90.00, 90.00 degrees
Space group F-43m (No. 216)
Asymmetric unit:
Sr (0.000, 0.000, 0.000)
Eu (0.250, 0.250, 0.250)
Ni (0.124, 0.124, 0.624)

Achaiah Angel dominates the spread of culture throughout the world, favoring scientific discoveries and inventions useful to humanity. On the individual level, his mission consists in revealing to the person the possibilities connected with his mental organization. By guiding them to use their thoughts knowingly to understand the externalization of Divine thought. And use the faculties that derive from it to organize one’s life, giving it precise meaning and purpose.

The Divine thought that emanates from Metatron, pours into men through the energies of Achaiah Angel, exerts strong transformative power on every natural creation. Therefore, with the help of this guardian angel, the individual will be able to give rise to new and more profitable configurations in people and things. Able to enhance, intensify, make the most of everything that matters most.

Thanks to this Angel the supreme power of the Will activates the Fire-design and the Water-feelings. Achaiah dissolves all that is of the primary character in order to create intensely favorable new circumstances. This dynamic of destructive recreation will settle in us to be able to eliminate works of modest scope in order to re-create them improved.

Achaiah Angel meaning – God good and patient

When the Angel is invoked he will assist this path with absolute precision, giving us the gift of an extraordinary intellectual lucidity. In other words, in the people protected by Achaiah Angel, there is the potential to transform reality. Harmonizing in a very fruitful way ingenuity and determination with sweetness. Likewise, he can dispense this gift to all who invoke him.

Achaiah Angel of Courage

People born under this Angelic influence have a lot of spirituality, but at the same time have their feet on the ground, look at the horizon, and have their minds in the stars. Even if you do not have opportunities for instruction, you will have a lot of influence and knowledge. It is always lurking in order not to miss out on any opportunity and has spiritual protection (intuition) to accept dangerous risks.

He is obstinate, tenacious, and has a great need to know all sides of an issue. She is altruistic, immensely patient, and understanding with everything and everyone. It will apply the knowledge of nature in ultra-sensitive machines, to contact plants, animals, or even the human brain.

Achaiah Prayer – Psalm 103:8 Miserator et misericors Dominus longanimis et multae misericordiae